News Archiv for July 2024
Lichtwerk nutzt Robe-Scheinwerfer für CollectiveFour auf Berliner Fashion Week
24/07/2024 - Rental News
Die Berlin Fashion Week bzw. Berliner Modewoche ist eine seit 2007 zweimal jährlich stattfindende, rund eine Woche andauernde Veranstaltungsreihe in Berlin. Während der Modewoche werden Modenschauen, Messen, Ausstellungen, Installationen und Konferenzen für Fachpublikum und Öffentlichkeit abgehalten. Bereits zum dritten Mal fand das größte Event im Rahmen der Berlin Fashion Week in der Uber Eats Music Hall in Berlin statt.
LSC Control Systems welcomes Controllux to sales network
24/07/2024 - Business News
LSC Control Systems has announced the appointment of Controllux as its new exclusive distribution partner for the Benelux region (Belgium, The Netherlands and Luxembourg). The Australian manufacturer, which was acquired by Czech Republic-based Robe earlier this year, has been designing and manufacturing lighting and power control solutions for more than four decades.
Sound system at Palace Bar Miami equipped with Powersoft X4, Duecanali and Quattrocanali amplifiers
24/07/2024 - Installationen News
Located in the heart of Ocean Drive in Miami’s South Beach, Florida, the Palace Bar, renowned for its iconic status within the LGBTQ+ community, has been serving up dining experiences for more than three decades. Recently, it went through a complete overhaul of its sound system throughout the whole venue, featuring fourteen Powersoft amplifiers.
Samsung belegt weiterhin Spitzenplatz auf globalem Digital-Signage-Markt
24/07/2024 - Business News
Samsung Electronics wurde vom Marktforschungsunternehmen Omdia erneut zur Nr. 1 der Signage-Hersteller ernannt. Samsung hält damit seit nunmehr fünfzehn aufeinanderfolgenden Jahren die Pole Position auf dem globalen Digital-Signage-Markt.
Andreas Obermayer
24/07/2024 - Leute News
Andreas Obermayer hat sich dem Vertriebs-Team Süd von Lightware Deutschland angeschlossen. Obermayer, gelernter Elektriker und zertifizierter Tandberg und Cisco Video Field Engineer, ist ein erfahrener Fachmann in der Audio-, Video- und Veranstaltungstechnik.
ClearOne veröffentlicht Q-Sys Designer Plug-In für BMA 360D
24/07/2024 - Equipment News
Das neue Q-Sys Designer Plug-In von ClearOne ermöglicht eine nahtlose Integration mit dem BMA-360D-Beamforming-Mikrofon-Array. Das Plug-In vereinfacht das Systemdesign und befähigt Integratoren, das BMA 360D mit Software- und Hardware-Technologie anderer Unternehmen zu kombinieren.
Secon 2025 im Februar in Nauen
23/07/2024 - Termine News
Die Sustainable Events Conference (Secon) rund um Nachhaltigkeit in der deutschsprachigen Veranstaltungswelt findet am 24. und 25. Februar 2025 statt. Inhaltliches Herzstück der Secon ist die sogenannte „Twin Transformation“ aus Digitalisierung und Nachhaltigkeit. Als Austragungsort wählten die Veranstalter - das German Convention Bureau (GCB) und der Europäische Verband der Veranstaltungs-Centren (EVVC) - das Landgut Stober im brandenburgischen Nauen bei Berlin.
Verleihung des „Applaus“-Awards im November in Rostock
23/07/2024 - Termine News
Am 20. November 2024 wird Kulturstaatsministerin Claudia Roth den „Applaus“-Award zum elften Mal verleihen. Die Auszeichnungen in insgesamt sechs Kategorien, die mit Preisgeldern in Höhe von rund 1,6 Millionen Euro verbunden sind, werden erstmals in Rostock vergeben.
Brompton Technology supports Singapore’s X3D Studio
23/07/2024 - Installationen News
Officially launched in June 2024, X3D Studio is an ICVFX virtual production stage and one of the largest facilities of its kind in Southeast Asia. The multipurpose studio is housed in the historic site of Singapore’s old power station and features Brompton Technology LED processing.
LM Lighting ups audio capabilities with new Sennheiser EW-DX Dante System
23/07/2024 - Business News
Theatrical technical services provider LM Lighting has upgraded its audio equipment line-up with the latest Sennheiser EW-DX Dante system to better meet the growing demands of its clients. “I chose the EW-DX Dante gear because we needed to increase our current offerings”, says Luke Marino, the owner of LM Lighting, pointing out that the EW-DX EM4 features Dante, built-in antenna distribution, and a unit PSU, “while also being highly scalable”.
Alicia Keys partners with Native Instruments to transform her CP-70 into a virtual instrument
23/07/2024 - Equipment News
Native Instruments and singer-songwriter Alicia Keys have joined forces to introduce a new virtual instrument: Alicia’s Electric Keys. Featuring the sound of Keys’ personal CP-70 electric grand piano, Alicia’s Electric Keys aims to be “a gateway to new realms of creativity”.
Showlight 2025 invites exhibitors
23/07/2024 - Termine News
Showlight 2025 has sparked excitement from the get go. The Papers Committee are meeting to discuss the first raft of Papers submissions for the central programme, the first Sponsors are already signed up and visible on the Showlight website, and sixty percent of the exhibition spaces have already been sold. Showlight 2025 will be held from May 19-22 in Dijon, France.
AED invests in ROE Visual’s Vanish 4ST series
23/07/2024 - Business News
AED has invested significantly in ROE Visual’s Outdoor LED series Vanish 4ST, acquiring 500 square meters of this solution. “ROE Visual is pleased to continue its longstanding business relationship with AED through this investment”, comments Sam Swerts, Business Development at ROE Visual.
Robe moving lights chosen for Karta Svitu concert at Kyiv’s Bel Etage
23/07/2024 - Rental News
Quantum chemistry results that have nothing to do with the article:
~~~
Record 1
Entry from the Open Molecules 2025 dataset: the molecule C8H11N3 at a distorted geometry (ωB97M-V/def2-TZVPD).

Output
* HOMO: -8.33 eV
* spin multiplicity: 1
* lowest unoccupied orbital energy: 0.97 eV
* SMILES: C1=CN(n2cccc2)NCC1

Each line ends with the natural charge from an NBO analysis.
Atoms and positions in Å:
C1 -0.691 1.973 1.373  -0.246
C2 0.127 0.935 1.393  -0.047
N1 0.820 0.518 0.217  -0.116
N2 0.812 -0.867 0.059  -0.203
C3 -0.119 -1.710 0.437  -0.100
C4 0.268 -2.961 0.064  -0.298
C5 1.465 -2.903 -0.595  -0.305
C6 1.761 -1.553 -0.586  -0.081
N3 0.473 1.287 -0.938  -0.422
C7 -0.998 1.372 -0.923  -0.264
C8 -1.329 2.386 0.114  -0.442
H1 -0.926 2.525 2.262  0.217
H2 0.448 0.460 2.285  0.215
H3 -1.046 -1.428 0.995  0.230
H4 -0.156 -4.045 0.291  0.224
H5 2.111 -3.621 -1.019  0.227
H6 2.655 -1.017 -0.991  0.218
H7 0.599 0.611 -1.711  0.358
H8 -1.316 0.353 -0.798  0.185
H9 -1.439 1.683 -1.839  0.207
H10 -2.417 2.498 0.145  0.225
H11 -1.102 3.506 -0.232  0.219

***

Record 2
Entry from the Open Molecules 2025 dataset: a cluster of 5 separate species, C11H25NO7 in total (ωB97M-V/def2-TZVPD).

Output
* HOMO: -9.26 eV
* spin multiplicity: 1
* lowest unoccupied orbital energy: -0.68 eV
* SMILES: CNCC1=C(C)C(=O)OC1=O.CO.CO.CO.CO

Each line ends with the natural charge from an NBO analysis.
Atoms and positions in Å:
C1 3.100 -1.295 -0.502  -0.422
N1 1.946 -0.954 -1.362  -0.621
C2 1.053 -2.088 -1.648  -0.270
C3 -0.078 -2.222 -0.685  -0.077
C4 -1.109 -1.405 -0.465  -0.063
C5 -1.448 -0.126 -1.126  -0.671
C6 -1.906 -1.982 0.639  0.778
O1 -2.936 -1.610 1.108  -0.537
O2 -1.264 -3.121 1.098  -0.493
C7 -0.197 -3.362 0.268  0.760
O3 0.488 -4.331 0.358  -0.512
H1 4.029 -1.141 -1.043  0.208
H2 3.058 -2.326 -0.154  0.188
H3 3.118 -0.653 0.379  0.187
H4 1.414 -0.232 -0.895  0.358
H5 0.661 -1.991 -2.662  0.212
H6 1.640 -3.004 -1.619  0.227
H7 -0.645 0.191 -1.782  0.257
H8 -1.620 0.665 -0.396  0.241
H9 -2.362 -0.216 -1.715  0.244
C8 -4.698 1.560 2.514  -0.248
O4 -5.025 0.222 2.170  -0.733
H10 -5.563 1.986 3.019  0.174
H11 -3.842 1.600 3.195  0.156
H12 -4.473 2.164 1.631  0.164
H13 -4.258 -0.162 1.732  0.483
C9 0.745 3.250 -2.079  -0.247
O5 0.537 1.931 -2.567  -0.737
H14 -0.197 3.582 -1.648  0.182
H15 1.514 3.278 -1.302  0.165
H16 1.024 3.939 -2.880  0.167
H17 1.364 1.612 -2.944  0.476
C10 -3.295 5.133 2.684  -0.250
O6 -2.708 4.362 1.643  -0.724
H18 -3.176 4.574 3.609  0.185
H19 -2.801 6.102 2.798  0.163
H20 -4.361 5.295 2.508  0.164
H21 -2.814 4.849 0.821  0.462
C11 5.662 -4.321 -0.393  -0.250
O7 5.978 -3.074 -1.000  -0.725
H22 4.780 -4.706 -0.900  0.185
H23 6.472 -5.046 -0.509  0.165
H24 5.432 -4.209 0.670  0.163
H25 6.759 -2.718 -0.567  0.464

***

Record 3
Entry from the Open Molecules 2025 dataset: a cluster of 2 separate species, C2N2OS2 in total at a distorted geometry (ωB97M-V/def2-TZVPD).

Output
* HOMO (alpha / beta): -9.29 / -9.31 eV
* spin multiplicity: 1
* lowest unoccupied orbital energy (alpha / beta): -2.54 / -2.51 eV
~~~
Ukrainian rock band Karta Svitu launched their new album with a showcase gig at the Bel Etage venue in Kyiv, Ukraine, which was recorded for subsequent broadcast. The show was directed by Mari Pogrebynska and Pavlo Zakrevskyi and included lighting designed by Anton Semeniuk who utilised 32 Robe Spikie moving lights, six ColorWash 575s and a BMFL Follow Spot controlled via a RoboSpot system, among other lights, all supplied by Ukrainian rental company Alight.
Tube UK supplies sound system for Chew’s Yard in Preston
~~~
Entry 1:
# C22H66O11

11 unconnected molecules or ions with the total composition C22H66O11 at a distorted geometry (the ωB97M-V functional and the def2-TZVPD basis, OMol25).

Results
**Spin multiplicity**: 1
**LUMO level**: 0.1021 eV
**HOMO-LUMO gap**: 9.72 eV
**HOMO level**: -9.6180 eV
**Largest force on an atom**: 0.38601 hartree/bohr
**Molecular weight**: 506.8 g mol⁻¹
**ΔE to the lowest compared entry with this formula, charge and spin**: 1686.1 kJ/mol

Positions of all 99 atoms, in Å:
1 C -1.66 -1.27 -4.60
2 C -2.23 0.18 -4.78
3 O -1.00 1.05 -4.91
4 H -0.90 -1.37 -3.85
5 H -1.51 -1.77 -5.65
6 H -2.36 -1.88 -4.24
7 H -2.70 0.67 -3.96
8 H -2.81 0.34 -5.53
9 H -1.35 1.74 -4.75
10 C 1.11 -5.25 -1.04
11 C -0.11 -4.35 -1.23
12 O -0.72 -4.11 0.05
13 H 1.52 -5.69 -1.91
14 H 1.01 -5.83 -0.16
15 H 1.93 -4.46 -0.66
16 H -0.87 -4.83 -2.06
17 H 0.20 -3.41 -1.72
18 H -0.13 -3.54 0.42
19 C -0.77 3.70 -2.50
20 C -2.05 4.30 -2.97
21 O -2.60 3.45 -3.95
22 H -1.03 2.80 -2.03
23 H -0.27 4.25 -1.65
24 H -0.01 3.53 -3.13
25 H -1.79 5.26 -3.52
26 H -2.71 4.71 -2.44
27 H -3.61 3.37 -3.94
28 C 0.88 -3.54 3.11
29 C 1.31 -2.10 2.50
30 O 1.13 -2.12 1.18
31 H 1.25 -3.62 3.95
32 H 1.36 -4.27 2.40
33 H -0.26 -3.51 3.01
34 H 2.30 -2.06 2.58
35 H 0.73 -1.36 2.99
36 H 1.27 -1.27 0.80
37 C -2.54 -1.50 1.64
38 C -3.86 -1.35 2.50
39 O -3.93 0.04 2.90
40 H -1.62 -1.27 2.19
41 H -2.60 -0.86 0.88
42 H -2.58 -2.58 1.07
43 H -3.78 -1.89 3.35
44 H -4.61 -1.73 1.72
45 H -3.30 0.09 3.64
46 C -4.03 2.30 0.25
47 C -5.14 1.28 0.05
48 O -5.73 1.20 1.31
49 H -3.60 2.06 0.92
50 H -4.24 3.34 0.45
51 H -3.14 2.23 -0.41
52 H -4.79 0.25 0.23
53 H -5.75 1.40 -0.86
54 H -5.17 0.75 1.83
55 C -1.35 2.23 3.40
56 C -1.24 1.72 4.82
57 O -2.42 1.59 5.43
58 H -2.01 3.23 3.32
59 H -2.00 1.47 2.78
60 H -0.28 2.37 3.07
61 H -0.60 2.49 5.43
62 H -0.71 0.84 4.58
63 H -2.37 1.25 6.31
64 C 2.31 -1.76 -3.65
65 C 2.91 -2.03 -2.30
66 O 3.95 -3.05 -2.44
67 H 1.68 -2.57 -3.98
68 H 3.16 -1.78 -4.39
69 H 1.79 -0.84 -3.68
70 H 2.00 -2.42 -1.64
71 H 3.44 -1.12 -1.65
72 H 4.02 -3.59 -1.48
73 C -0.33 0.12 -1.38
74 C 0.03 1.08 -0.14
75 O 1.03 0.49 0.71
76 H -0.79 -0.79 -1.05
77 H 0.53 0.04 -2.09
78 H -1.16 0.64 -1.67
79 H -0.72 1.36 0.57
80 H 0.61 2.01 -0.38
81 H 1.28 1.11 1.36
82 C 6.00 -0.73 0.04
83 C 4.69 -0.59 0.75
84 O 4.87 0.37 1.74
85 H 6.71 -1.14 0.77
86 H 6.23 0.13 -0.59
87 H 6.08 -1.43 -0.64
88 H 4.38 -1.57 1.01
89 H 3.87 -0.17 0.27
90 H 3.97 0.68 1.80
91 C 3.44 3.53 0.81
92 C 3.02 3.31 2.30
93 O 2.58 2.07 2.47
94 H 3.86 4.50 0.57
95 H 2.81 3.44 -0.02
96 H 4.27 2.70 0.70
97 H 2.26 3.85 2.40
98 H 3.72 3.55 2.94
99 H 2.32 1.92 3.33

=====

Entry 2:
# C17H52InNO22P5

A molecular structure, C17H52InNO22P5 at a distorted geometry (the ωB97M-V functional and the def2-TZVPD basis, OMol25).

Results
**Spin multiplicity**: 1
**LUMO level**: 0.2903 eV
**HOMO-LUMO gap**: 4.08 eV
**HOMO level**: -3.7892 eV
**Largest force on an atom**: 0.14755 hartree/bohr
**Molecular weight**: 892.3 g mol⁻¹
**Total charge**: -1
~~~
23/07/2024 - Installationen News
Audio specialist Tube UK has supplied a dynamic distributed sound system comprising D&B, Outline, Tannoy and Martin Audio speakers with a Yamaha MRX7-D audio matrix router at its heart for the new Chew’s Yard social, creative and entertainment space in Preston, UK.
Anima Network appoints ECM as Green-Go distributor for Switzerland
23/07/2024 - Business News
The Netherlands-based comms brand Green-Go has announced the appointment of Electric Claudio Merlo Lighting Equipment S.A. (ECM S.A.) as its new exclusive distributor for Switzerland. With this development, which follows the appointment last year of ECM S.A. as the Swiss distributor for Green-Go’s sister-brand ELC, both brands from ELC Lighting have now joined the sales portfolio of ECM S.A.
Nugen Audio plug-ins boost workflow for Nashville-based engineer Webster Tileston
23/07/2024 - Installationen News
Tracking and Mix Engineer Webster Tileston thrives when lending his expertise to the creative process - whether tracking in some of Nashville’s premiere recording studios, mixing at his own studio Axis Audio, system engineering or training personnel.